### Given
'''
ORCA calculation (ωB97M-V/def2-TZVPD) on 2 unconnected molecules or ions with the total composition C3H11NOS2.

Structure (XYZ):
```
18
C3H11NOS2 | the Open Molecules 2025 dataset | ωB97M-V/def2-TZVPD
N -0.326 -1.753 -2.036
C 0.395 -0.738 -1.223
C -0.249 -0.820 0.213
C 0.263 0.496 0.884
S 2.070 0.580 0.923
S 2.965 2.359 1.055
H 0.053 -1.917 -3.000
H -0.161 -2.679 -1.442
H 0.350 0.212 -1.699
H 1.503 -1.052 -1.245
H -0.108 -1.817 0.687
H -1.234 -0.685 -0.043
H 0.006 0.470 2.008
H -0.321 1.453 0.593
H 2.958 2.963 2.273
O -2.813 1.370 0.869
H -2.635 0.523 1.268
H -2.716 1.035 -0.087
```

The HOMO energy comes out at -8.74 eV. The total energy comes out at -1047.19925 a.u. The energy above the lowest of the compared OMol25 structures with the same formula, charge and spin comes out at 178.8 kJ/mol. As for the multiplicity: 1.

In the natural (NBO) picture, each atom carries the following charge in e:
1. N -0.8549
2. C -0.2159
3. C -0.4256
4. C -0.5880
5. S 0.0988
6. S -0.1302
7. H 0.3667
8. H 0.3435
9. H 0.1959
10. H 0.1781
11. H 0.2205
12. H 0.2075
13. H 0.2178
14. H 0.2636
15. H 0.1158
16. O -0.9173
17. H 0.4603
18. H 0.4634

----------

# 1
81
Properties=species:S:1:pos:R:3:forces:R:3 method="wB97M-V/def2-TZVPD" max_force_ev_per_a=0.15 e_homo_ev=-10.10 multiplicity=1 orbital_gap_ev=7.06 energy_ev=-58627.03285 total_charge=+1
Pb 0.200597 -0.799725 -0.537961 -0.1 0.0 0.0
C 2.159887 -0.625272 -3.161046 0.0 0.0 0.0
Si 3.173638 0.214249 -1.819037 0.0 0.0 0.0
C 3.368798 2.007738 -2.335639 0.0 0.0 0.0
C 4.847640 -0.609183 -1.732868 0.0 0.0 0.0
N 2.245464 0.049709 -0.348661 0.0 0.0 0.0
C 2.734801 0.378966 0.909961 0.0 0.0 0.0
C 3.924258 1.090034 1.128249 0.0 0.0 0.0
C 4.407882 1.339705 2.401949 0.0 0.0 0.0
C 3.719618 0.889525 3.517163 0.0 0.0 0.0
C 2.525228 0.206564 3.343401 0.0 0.0 0.0
C 2.044742 -0.010251 2.067379 0.0 0.0 0.0
O 0.836841 -0.706440 1.855480 0.0 0.0 0.0
C -0.141006 -0.623373 2.855096 0.0 0.0 0.0
C -0.592296 0.611250 3.291860 0.0 0.0 0.0
C -1.635092 0.654300 4.203050 0.0 0.0 0.0
C -2.208788 -0.522401 4.672587 0.0 0.0 0.0
C -1.723167 -1.746988 4.241548 0.0 0.0 0.0
C -0.676333 -1.802414 3.329860 0.0 0.0 0.0
H 2.707141 -0.551369 -4.104392 0.0 0.0 0.0
H 1.190380 -0.148190 -3.341799 0.0 0.0 0.0
H 1.996646 -1.689566 -2.975847 0.0 0.0 0.0
H 3.999459 2.079164 -3.225037 0.0 0.0 0.0
H 3.826229 2.628184 -1.562500 0.0 0.0 0.0
H 2.402233 2.450717 -2.590567 0.0 0.0 0.0
H 5.362053 -0.493128 -2.690046 0.0 0.0 0.0
H 4.759846 -1.678105 -1.531271 0.0 0.0 0.0
H 5.490129 -0.183181 -0.961998 0.0 0.0 0.0
H 4.484091 1.446081 0.274037 0.0 0.0 0.0
H 5.334484 1.885674 2.520439 0.0 0.0 0.0
H 4.099915 1.066834 4.513174 0.0 0.0 0.0
H 1.966631 -0.149042 4.198826 0.0 0.0 0.0
H -0.129361 1.518030 2.924146 0.0 0.0 0.0
H -2.001409 1.612410 4.548831 0.0 0.0 0.0
H -3.021518 -0.480919 5.385205 0.0 0.0 0.0
H -2.153056 -2.666739 4.616758 0.0 0.0 0.0
H -0.291712 -2.749452 2.977722 0.0 0.0 0.0
C -4.383500 -1.308186 1.394093 0.0 0.0 0.0
C -3.057749 -1.497061 0.978034 0.0 0.0 0.0
N -2.252789 -0.502354 0.674669 0.0 0.0 0.0
C -2.715821 0.759916 0.774232 0.0 0.0 0.0
C -4.017506 1.053130 1.199270 0.0 0.0 0.0
C -4.861316 -0.031150 1.503606 0.0 0.0 0.0
C -4.435184 2.417754 1.341700 0.0 0.0 0.0
C -3.580136 3.429283 1.094061 0.0 0.0 0.0
C -2.237409 3.165747 0.661007 0.0 0.0 0.0
C -1.311305 4.196537 0.422555 0.0 0.0 0.0
C -0.038464 3.886124 0.026338 0.0 0.0 0.0
C 0.298215 2.540310 -0.152881 0.0 0.0 0.0
N -0.554681 1.552983 0.052594 0.0 0.0 0.0
C -1.809144 1.844316 0.473048 0.0 0.0 0.0
H -4.997357 -2.166947 1.626711 0.0 0.0 0.0
H -2.646270 -2.496426 0.900181 0.0 0.0 0.0
H -5.876014 0.159917 1.830836 0.0 0.0 0.0
H -5.448745 2.616634 1.666159 0.0 0.0 0.0
H -3.888079 4.459823 1.216021 0.0 0.0 0.0
H -1.615191 5.226506 0.563669 0.0 0.0 0.0
H 0.703241 4.650960 -0.153822 0.0 0.0 0.0
H 1.293342 2.248738 -0.465883 0.0 0.0 0.0
C 2.851642 -3.358608 0.256690 0.1 0.0 0.0
C 0.526829 -4.102763 -0.482805 -0.1 0.1 0.0
C 0.858002 -4.265178 -1.940678 0.1 0.0 0.0
'''
### Wanted
Please duplicate the block above word for word.
### Worked solution
ORCA calculation (ωB97M-V/def2-TZVPD) on 2 unconnected molecules or ions with the total composition C3H11NOS2.

Structure (XYZ):
```
18
C3H11NOS2 | the Open Molecules 2025 dataset | ωB97M-V/def2-TZVPD
N -0.326 -1.753 -2.036
C 0.395 -0.738 -1.223
C -0.249 -0.820 0.213
C 0.263 0.496 0.884
S 2.070 0.580 0.923
S 2.965 2.359 1.055
H 0.053 -1.917 -3.000
H -0.161 -2.679 -1.442
H 0.350 0.212 -1.699
H 1.503 -1.052 -1.245
H -0.108 -1.817 0.687
H -1.234 -0.685 -0.043
H 0.006 0.470 2.008
H -0.321 1.453 0.593
H 2.958 2.963 2.273
O -2.813 1.370 0.869
H -2.635 0.523 1.268
H -2.716 1.035 -0.087
```

The HOMO energy comes out at -8.74 eV. The total energy comes out at -1047.19925 a.u. The energy above the lowest of the compared OMol25 structures with the same formula, charge and spin comes out at 178.8 kJ/mol. As for the multiplicity: 1.

In the natural (NBO) picture, each atom carries the following charge in e:
1. N -0.8549
2. C -0.2159
3. C -0.4256
4. C -0.5880
5. S 0.0988
6. S -0.1302
7. H 0.3667
8. H 0.3435
9. H 0.1959
10. H 0.1781
11. H 0.2205
12. H 0.2075
13. H 0.2178
14. H 0.2636
15. H 0.1158
16. O -0.9173
17. H 0.4603
18. H 0.4634

----------

# 1
81
Properties=species:S:1:pos:R:3:forces:R:3 method="wB97M-V/def2-TZVPD" max_force_ev_per_a=0.15 e_homo_ev=-10.10 multiplicity=1 orbital_gap_ev=7.06 energy_ev=-58627.03285 total_charge=+1
Pb 0.200597 -0.799725 -0.537961 -0.1 0.0 0.0
C 2.159887 -0.625272 -3.161046 0.0 0.0 0.0
Si 3.173638 0.214249 -1.819037 0.0 0.0 0.0
C 3.368798 2.007738 -2.335639 0.0 0.0 0.0
C 4.847640 -0.609183 -1.732868 0.0 0.0 0.0
N 2.245464 0.049709 -0.348661 0.0 0.0 0.0
C 2.734801 0.378966 0.909961 0.0 0.0 0.0
C 3.924258 1.090034 1.128249 0.0 0.0 0.0
C 4.407882 1.339705 2.401949 0.0 0.0 0.0
C 3.719618 0.889525 3.517163 0.0 0.0 0.0
C 2.525228 0.206564 3.343401 0.0 0.0 0.0
C 2.044742 -0.010251 2.067379 0.0 0.0 0.0
O 0.836841 -0.706440 1.855480 0.0 0.0 0.0
C -0.141006 -0.623373 2.855096 0.0 0.0 0.0
C -0.592296 0.611250 3.291860 0.0 0.0 0.0
C -1.635092 0.654300 4.203050 0.0 0.0 0.0
C -2.208788 -0.522401 4.672587 0.0 0.0 0.0
C -1.723167 -1.746988 4.241548 0.0 0.0 0.0
C -0.676333 -1.802414 3.329860 0.0 0.0 0.0
H 2.707141 -0.551369 -4.104392 0.0 0.0 0.0
H 1.190380 -0.148190 -3.341799 0.0 0.0 0.0
H 1.996646 -1.689566 -2.975847 0.0 0.0 0.0
H 3.999459 2.079164 -3.225037 0.0 0.0 0.0
H 3.826229 2.628184 -1.562500 0.0 0.0 0.0
H 2.402233 2.450717 -2.590567 0.0 0.0 0.0
H 5.362053 -0.493128 -2.690046 0.0 0.0 0.0
H 4.759846 -1.678105 -1.531271 0.0 0.0 0.0
H 5.490129 -0.183181 -0.961998 0.0 0.0 0.0
H 4.484091 1.446081 0.274037 0.0 0.0 0.0
H 5.334484 1.885674 2.520439 0.0 0.0 0.0
H 4.099915 1.066834 4.513174 0.0 0.0 0.0
H 1.966631 -0.149042 4.198826 0.0 0.0 0.0
H -0.129361 1.518030 2.924146 0.0 0.0 0.0
H -2.001409 1.612410 4.548831 0.0 0.0 0.0
H -3.021518 -0.480919 5.385205 0.0 0.0 0.0
H -2.153056 -2.666739 4.616758 0.0 0.0 0.0
H -0.291712 -2.749452 2.977722 0.0 0.0 0.0
C -4.383500 -1.308186 1.394093 0.0 0.0 0.0
C -3.057749 -1.497061 0.978034 0.0 0.0 0.0
N -2.252789 -0.502354 0.674669 0.0 0.0 0.0
C -2.715821 0.759916 0.774232 0.0 0.0 0.0
C -4.017506 1.053130 1.199270 0.0 0.0 0.0
C -4.861316 -0.031150 1.503606 0.0 0.0 0.0
C -4.435184 2.417754 1.341700 0.0 0.0 0.0
C -3.580136 3.429283 1.094061 0.0 0.0 0.0
C -2.237409 3.165747 0.661007 0.0 0.0 0.0
C -1.311305 4.196537 0.422555 0.0 0.0 0.0
C -0.038464 3.886124 0.026338 0.0 0.0 0.0
C 0.298215 2.540310 -0.152881 0.0 0.0 0.0
N -0.554681 1.552983 0.052594 0.0 0.0 0.0
C -1.809144 1.844316 0.473048 0.0 0.0 0.0
H -4.997357 -2.166947 1.626711 0.0 0.0 0.0
H -2.646270 -2.496426 0.900181 0.0 0.0 0.0
H -5.876014 0.159917 1.830836 0.0 0.0 0.0
H -5.448745 2.616634 1.666159 0.0 0.0 0.0
H -3.888079 4.459823 1.216021 0.0 0.0 0.0
H -1.615191 5.226506 0.563669 0.0 0.0 0.0
H 0.703241 4.650960 -0.153822 0.0 0.0 0.0
H 1.293342 2.248738 -0.465883 0.0 0.0 0.0
C 2.851642 -3.358608 0.256690 0.1 0.0 0.0
C 0.526829 -4.102763 -0.482805 -0.1 0.1 0.0
C 0.858002 -4.265178 -1.940678 0.1 0.0 0.0